Spakaya – The Dog Fort of the Riverdans
A Driving Mission: A attendant of a Black Herald of Everdark from the forces of the dark champion Histrak Frostmonger has been sent here to excavate for the remains of the evil standard of the dead darkling Split Eye (see History of the fort) if any can be found. The fallen dark-spawn was drowned in the final battle for Spakaya – The Dog Fort of the Riverdans. They are also to determine the viability of having rock worms tunnel to it and recreate the breech as an attack point. The latter is a cover for the former and most of the raiders have no clue (in case they are captured). Raiders were sent out to make sure the area was clear of scouts. And then they were able to capture the shepard’s family… and perform a human sacrifice for evil magics to find the standard. And now a hint of where the remaining piece of the standard may be found and so they have tunneled down the kitchen stairs into the armory and stores area to finally find it – under the guise of more sapping for metals.
Current State: It’s taken days, and little progress has been made on the sapping work. Really, the raiders do not have the tools for the job for re-connecting the breach tunnels, but they are doing their best. The Black Heralds attendant is leading a team of sappers and finally finds the broken standard piece right before the PCs arrive. It attacked and killed a goblin, and they had to burn its head. They have reburied it and are trying to figure out how to get back to the main force in Blue Willow Valley – the head snarls and wails and makes too much noise for an overland trip. Both the priest and the shaman know. They are running out of options and believe they will have to kill one of their number to summon the Black Herald of Everdark from their base to take it.
<<<
1.
# Zn2Hg2OF6
Theoretical XRD peak list, Cu Kα. Input: the GGA-PBE geometry in OQMD.
Neutral-atom scattering factors, no anomalous dispersion.

Peak list (12 most intense, 5° ≤ 2θ ≤ 70°, in order of rising 2θ)
- 2θ 14.8, d = 5.976 Å, intensity 215
- 2θ 28.6, d = 3.121 Å, intensity 136
- 2θ 29.9, d = 2.988 Å, intensity 1000
- 2θ 34.7, d = 2.588 Å, intensity 325
- 2θ 37.9, d = 2.375 Å, intensity 169
- 2θ 45.5, d = 1.992 Å, intensity 88
- 2θ 49.8, d = 1.830 Å, intensity 474
- 2θ 52.3, d = 1.750 Å, intensity 72
- 2θ 59.2, d = 1.560 Å, intensity 437
- 2θ 62.1, d = 1.494 Å, intensity 106
- 2θ 64.3, d = 1.449 Å, intensity 36
- 2θ 69.8, d = 1.348 Å, intensity 39

Atomic structure:
Unit cell a=10.3509 b=10.3509 c=10.3509 alpha=90.00 beta=90.00 gamma=90.00
Space group Fd-3m (No. 227, origin choice 2)
Inequivalent atoms, fractional coordinates:
Zn 0.0000 0.0000 0.0000 x16
Hg 0.0000 0.0000 0.5000 x16
O 0.1250 0.1250 0.6250 x8
F 0.0763 0.3750 0.3750 x48


2.
# HgTe2Pb2F2
Theoretical XRD peak list, Cu Kα. Input: the GGA-PBE geometry in OQMD.
Neutral-atom scattering factors, no anomalous dispersion.

Peak list (12 most intense, 5° ≤ 2θ ≤ 70°, in order of rising 2θ)
- 2θ 22.8, d = 3.894 Å, intensity 221
- 2θ 27.7, d = 3.222 Å, intensity 1000
- 2θ 29.9, d = 2.993 Å, intensity 208
- 2θ 31.2, d = 2.865 Å, intensity 221
- 2θ 34.4, d = 2.609 Å, intensity 189
- 2θ 35.0, d = 2.564 Å, intensity 470
- 2θ 42.2, d = 2.143 Å, intensity 241
- 2θ 42.7, d = 2.116 Å, intensity 368
- 2θ 47.6, d = 1.912 Å, intensity 198
- 2θ 51.7, d = 1.769 Å, intensity 367
- 2θ 61.6, d = 1.506 Å, intensity 158
- 2θ 62.0, d = 1.496 Å, intensity 122

Atomic structure:
```
data_HgTe2Pb2F2
_space_group_name_H-M_alt 'P -4 m 2'
_space_group_IT_number 115
_cell_length_a 4.2321
_cell_length_b 4.2321
_cell_length_c 9.9390
_cell_angle_alpha 90.00
_cell_angle_beta 90.00
_cell_angle_gamma 90.00
loop_
_space_group_symop_operation_xyz
'x,y,z'
'y,-x,-z'
'-x,-y,z'
'-y,x,-z'
'-x,y,z'
'-y,-x,-z'
'x,-y,z'
'y,x,-z'
loop_
_atom_site_label
_atom_site_fract_x
_atom_site_fract_y
_atom_site_fract_z
Hg1 0.0000 0.0000 0.0000
Te1 0.0000 0.5000 0.8052
Pb1 0.0000 0.5000 0.3526
F1 0.0000 0.0000 0.5000
F2 0.5000 0.5000 0.5000
```


3.
# Hg2Te2PdF2
Theoretical XRD peak list, Cu Kα. Input: the GGA-PBE geometry in OQMD.
Neutral-atom scattering factors, no anomalous dispersion.

Peak list (12 most intense, 5° ≤ 2θ ≤ 70°, in order of rising 2θ)
- 2θ 24.6, d = 3.623 Å, intensity 113
- 2θ 29.5, d = 3.024 Å, intensity 1000
- 2θ 32.3, d = 2.771 Å, intensity 314
- 2θ 33.7, d = 2.660 Å, intensity 84
- 2θ 36.5, d = 2.465 Å, intensity 70
- 2θ 37.6, d = 2.394 Å, intensity 372
- 2θ 44.6, d = 2.033 Å, intensity 305
- 2θ 46.3, d = 1.959 Å, intensity 293
- 2θ 50.6, d = 1.805 Å, intensity 141
- 2θ 55.9, d = 1.644 Å, intensity 338
- 2θ 66.2, d = 1.411 Å, intensity 188
- 2θ 67.6, d = 1.386 Å, intensity 94

Atomic structure:
```
data_Hg2Te2PdF2
_space_group_name_H-M_alt 'P -4 m 2'
_space_group_IT_number 115
_cell_length_a 3.9189
>>>
Ushtay, the attendant of the Black Herald of Everdark in service with Histrak Frostmonger, summoned a swarm of insects from the surrounding hills as a day watcher and functions as an alarm bell. They are in the tower, where the goblin carcass lies that was offered in sacrifice.
In addition to the normal horrific visions of __, there is a unique impression left behind from the perspective of the darkling champion that once commanded the war banner’s power.
Suddenly it’s as if you are seeing out of another’s eyes. Your breath is ragged, you feel like screaming as the faint glow of the sun coming over the horizon is revealed. All around you are torn bodies of the fort’s defenders, burst open like a volcano. All around too is the sludge remains of goblins and orks burned under the Sun Bane. A few Orrish have gathered and hunkered down in the shadows of the broken fort, and the terror is palpable. Another sunset and you are sure you can get out, the others’ deaths will cover for you. But then, about midday there is a low rumble and the cliff side above bursts open! A deluge of water, rocks and soil sweeps you away, grinding you in its path. Rocks are battering your skull and ribs as you tumble, you feel the hot blood filling your mouth and you cannot breathe as you are thrown about and ultimately buried alive. You clutch the broken piece of the standard with its strange head atop it. Your last sight as darkness claims you is the standard you grasp so tight twitches in your hands, and the head’s eyes open up to revel a soul so tortured and broken that you gasp and swallow earth and rocks and die horribly, in terror and alone.
# 1
Simulated powder XRD pattern of GaFe2BO5 for Cu Kα, from a crystal structure in Alexandria, relaxed with GGA+U.

Top 10 peaks for 10° ≤ 2θ ≤ 90°, sorted by position:
(1 2 0), 2θ = 16.94°, intensity 76.4; (2 4 0), 2θ = 34.26°, intensity 100.0; (2 0 1), 2θ = 34.74°, intensity 81.1; (4 0 0), 2θ = 37.23°, intensity 24.6; (1 3 1), 2θ = 37.72°, intensity 35.3; (0 4 1), 2θ = 41.39°, intensity 39.9; (3 2 1), 2θ = 43.33°, intensity 36.5; (3 3 1), 2θ = 46.44°, intensity 27.2; (4 4 1), 2θ = 56.89°, intensity 35.4; (1 7 1), 2θ = 61.00°, intensity 39.9

Unit cell a=9.662 b=12.456 c=3.055 alpha=90.00 beta=90.00 gamma=90.00
Space group Pbam (No. 55)
Inequivalent atoms, fractional coordinates:
Ga 0.241 0.117 0.000 x4
Fe 0.000 0.000 0.500 x2
Fe 0.000 0.500 0.000 x2
Fe 0.004 0.725 0.500 x4
B 0.236 0.864 0.000 x4
O 0.112 0.142 0.500 x4
O 0.121 0.362 0.000 x4
O 0.124 0.585 0.500 x4
O 0.161 0.960 0.000 x4
O 0.164 0.767 0.000 x4


# 2
Simulated powder XRD pattern of MgV4O10 for Cu Kα, from a crystal structure in Alexandria, relaxed with GGA+U.

Top 10 peaks for 10° ≤ 2θ ≤ 90°, sorted by position:
(0 0 1), 2θ = 18.41°, intensity 100.0; (0 1 1), 2θ = 19.97°, intensity 18.2; (1 1 0), 2θ = 26.24°, intensity 49.3; (0 3 1), 2θ = 29.75°, intensity 49.1; (0 4 0), 2θ = 31.05°, intensity 25.1; (1 0 1), 2θ = 31.27°, intensity 53.6; (1 3 0), 2θ = 34.38°, intensity 35.0; (0 6 0), 2θ = 47.34°, intensity 20.3; (2 0 0), 2θ = 51.43°, intensity 24.3; (2 6 0), 2θ = 72.45°, intensity 17.0

Unit cell a=3.554 b=11.521 c=4.819 alpha=90.00 beta=90.00 gamma=90.00
Space group Pmm2 (No. 25)
Inequivalent atoms, fractional coordinates:
Mg 0.000 0.000 0.000 x1
V 0.000 0.349 0.823 x2
V 0.500 0.152 0.585 x2
O 0.000 0.173 0.744 x2
O 0.000 0.349 0.157 x2
O 0.000 0.500 0.725 x1
O 0.500 0.000 0.763 x1
O 0.500 0.118 0.245 x2
O 0.500 0.321 0.698 x2


Diffraction record for KCd. The PXRD pattern is simulated, not measured: it uses a DFT-relaxed cell (PBE, OQMD) and Cu Ka.
Neutral-atom scattering factors, no anomalous dispersion.

Largest 10 diffraction maxima, by angle, 2θ = 15–90°:
(hkl), Position (°2θ), I/Imax
1 0 -4, 20.05, 145
0 0 5, 20.43, 371
1 1 -4, 26.75, 136
0 1 5, 27.04, 357
2 0 -3, 27.97, 235
1 0 6, 28.77, 131
2 1 2, 33.18, 1000
0 2 0, 35.50, 379
3 1 3, 46.29, 162
2 3 2, 62.28, 151

Atomic structure:
Cell lengths 6.8648, 5.0577, 21.8067 Å; angles 90.00, 94.50, 90.00 degrees
Space group P2_1/m (No. 11)
One atom of each set of equivalent atoms:
K1 0.0308 0.2500 0.1677 [2 per cell]
K2 0.1930 0.7500 0.6318 [2 per cell]
K3 0.2200 0.7500 0.0336 [2 per cell]
K4 0.3732 0.7500 0.4325 [2 per cell]
K5 0.4489 0.2500 0.7697 [2 per cell]
Cd1 0.0742 0.7500 0.2899 [2 per cell]
Cd2 0.1060 0.2500 0.5119 [2 per cell]
Cd3 0.2757 0.2500 0.9202 [2 per cell]
Cd4 0.2863 0.2500 0.3162 [2 per cell]
Cd5 0.4756 0.7500 0.8942 [2 per cell]


# 1
Structure and computed powder diffraction line list of Ta11Ni2Se8 (a cell relaxed with GGA-PBE; copper Kα).

Top 8 peaks for 10 to 90 degrees two-theta, sorted by position:
# End of the data records
The newly christened “Hawktail Coalition” (CY 9169; Pelmon, Monaides, Glois, Tufflim, Bondeu) has set aside differences and finally been brought together by the incursions from the dark-spawn enemy. Pelmon and Glois are bearing the brunt of the raiders’ incursions, with the main advances from the Hawktail Hills out into the Blue willow Valley to the south and Scael’s Basin and the wheatlands’ of Glois. The containment attempts have resulted in great losses and spreading raids from the Orrish. The west foothills of the Hawktail Hills are the site of constant battles – a half dozen smaller breach tunnels with defensive fortifications at their entrance have taken a tenacious foothold.
These calculated crystals were left in the page by mistake:
/*
This entry pairs a crystal structure of LiTlFe2Cl6 with its computed PXRD pattern. Radiation: Cu Kα. Structure: a DFT-relaxed cell (PBE, Alexandria).
Peak positions follow from Bragg's law for the DFT cell and can differ from measured ones.

Crystal structure
Lattice parameters (Å, degrees): 9.437 9.437 7.388 104.27 104.27 91.26
Element x y z (fractional)
Li1 0.215 0.785 0.750
Li2 0.785 0.215 0.250
Tl1 0.116 0.884 0.250
Tl2 0.884 0.116 0.750
Fe1 0.234 0.388 0.314
Fe2 0.388 0.234 0.814
Fe3 0.612 0.766 0.186
Fe4 0.766 0.612 0.686
Cl1 0.035 0.215 0.202
Cl2 0.172 0.617 0.442
Cl3 0.215 0.035 0.702
Cl4 0.311 0.404 0.043
Cl5 0.383 0.828 0.058
Cl6 0.404 0.311 0.543
Cl7 0.596 0.689 0.457
Cl8 0.617 0.172 0.942
Cl9 0.689 0.596 0.957
Cl10 0.785 0.965 0.298
Cl11 0.828 0.383 0.558
Cl12 0.965 0.785 0.798

Principal peaks in the range 10° ≤ 2θ ≤ 90°, by angle:
2θ 13.9, rel. 28.8; 2θ 18.0, rel. 51.1; 2θ 20.4, rel. 100.0; 2θ 22.6, rel. 68.1; 2θ 23.3, rel. 34.8; 2θ 25.1, rel. 36.4; 2θ 26.1, rel. 39.6; 2θ 30.3, rel. 40.4; 2θ 38.9, rel. 27.1; 2θ 39.6, rel. 32.1

This entry pairs a crystal structure of MgTlFeCl5 with its computed PXRD pattern. Radiation: Cu Kα. Structure: a DFT-relaxed cell (PBE, Alexandria).
Peak positions follow from Bragg's law for the DFT cell and can differ from measured ones.

Crystal structure
Lattice parameters (Å, degrees): 7.299 7.299 9.297 103.44 103.44 106.18
Element x y z (fractional)
Mg1 0.000 0.000 0.000
Mg2 0.000 0.000 0.500
Tl1 0.336 0.664 0.750
Tl2 0.664 0.336 0.250
Fe1 0.314 0.686 0.250
Fe2 0.686 0.314 0.750
Cl1 0.066 0.934 0.750
Cl2 0.098 0.696 0.395
Cl3 0.237 0.376 0.070
Cl4 0.304 0.902 0.105
Cl5 0.376 0.237 0.570
Cl6 0.624 0.763 0.430
Cl7 0.696 0.098 0.895
Cl8 0.763 0.624 0.930
Cl9 0.902 0.304 0.605
Cl10 0.934 0.066 0.250

Principal peaks in the range 10° ≤ 2θ ≤ 90°, by angle:
2θ 14.0, rel. 43.8; 2θ 20.8, rel. 100.0; 2θ 22.0, rel. 72.2; 2θ 23.7, rel. 53.4; 2θ 25.4, rel. 75.0; 2θ 29.8, rel. 38.4; 2θ 30.1, rel. 61.8; 2θ 31.7, rel. 34.9; 2θ 39.2, rel. 32.0; 2θ 40.7, rel. 38.2

This entry pairs a crystal structure of MnFeCl2 with its computed PXRD pattern. Radiation: Cu Kα. Structure: a DFT-relaxed cell (PBE, Alexandria).
Peak positions follow from Bragg's law for the DFT cell and can differ from measured ones.

Crystal structure
Lattice parameters (Å, degrees): 5.610 3.240 8.816 90.00 101.79 90.00
Element x y z (fractional)
Mn1 0.000 0.000 0.000
Mn2 0.500 0.500 0.000
Fe1 0.259 0.000 0.769
Fe2 0.759 0.500 0.769
Cl1 0.037 0.500 0.598
Cl2 0.224 0.500 0.180
Cl3 0.537 0.000 0.598
Cl4 0.724 0.000 0.180

Principal peaks in the range 10° ≤ 2θ ≤ 90°, by angle:
2θ 10.3, rel. 100.0; 2θ 20.6, rel. 12.2; 2θ 34.8, rel. 64.7; 2θ 35.0, rel. 33.2; 2θ 40.3, rel. 23.1; 2θ 40.5, rel. 10.3; 2θ 42.7, rel. 20.0; 2θ 50.4, rel. 9.7; 2θ 50.7, rel. 18.2; 2θ 56.8, rel. 25.7

This entry pairs a crystal structure of MnFePdCl2 with its computed PXRD pattern. Radiation: Cu Kα. Structure: a DFT-relaxed cell (PBE, Alexandria).
*/
The League of the White Lily in the Riverdan of Monaides has brought in professional mercenaries from the northern merchant cities and made a formal alliance with House Du’Orlok and the “Stone Horns Druidhold” of Pelmon Ridge to contain the dark-sapwn.Dark-Spawn Loot/Goods: The selling of Orrish made goods/loot outside the Dark Lands has serious issues, and often the best value is 10% of normal.
But the druidic magic that once stood watch here is still there, albeit weak.
> Primordial Awareness will reveal this once the herald’s assistant has been defeated, it will trigger a vision if enacted.
A mountain goat shows up and stands there looking at you. It seems to be trying to get you to follow it. You climb the rugged cliff face up another 20m to where the stream is coming out of the ground. The goat paws at it. It headbuts it with its horns, like it is attacking it.
Any character drives a weapon into the spring source, it will bubble and froth with pink water. Drinking it restores 10 points of health and minor restoration + dispel exhaustion 1 and all infections. After each character has drank, there will be enough to fill a small drinking skin with a 10 point healing potion for each PC.